## Assignment
What is needed: start at the top of the calculation results further down and type out each line, ending with the one that has "EuIn2Rh.".

## Material
- - -
Record 1
DFT (PBE) results for an optimized crystal structure of SrEuInSnO6.

## Properties
- calculated density (g cm⁻³) = 6.6
- formation enthalpy at 0 K (meV/atom) = -2421
- crystal system = cubic

Unit cell a=5.8843 b=5.8843 c=5.8843 alpha=60.00 beta=60.00 gamma=60.00
Fractional positions:
In (0.0000, 0.0000, 0.0000)
O (0.2545, 0.2545, 0.7455)
Sr (0.2500, 0.2500, 0.2500)
O (0.7455, 0.2545, 0.7455)
O (0.2545, 0.7455, 0.2545)
Eu (0.7500, 0.7500, 0.7500)
O (0.7455, 0.7455, 0.2545)
Sn (0.5000, 0.5000, 0.5000)
O (0.2545, 0.7455, 0.7455)
O (0.7455, 0.2545, 0.2545)


Record 2
DFT (PBE) results for an optimized crystal structure of Eu2TiInO6.

## Properties
- calculated density (g cm⁻³) = 7.0
- formation enthalpy at 0 K (meV/atom) = -2970
- crystal system = cubic

Unit cell a=5.7278 b=5.7278 c=5.7278 alpha=60.00 beta=60.00 gamma=60.00
Fractional positions:
In (0.0000, 0.0000, 0.0000)
Ti (0.5000, 0.5000, 0.5000)
O (0.7397, 0.7397, 0.2603)
O (0.7397, 0.2603, 0.2603)
O (0.2603, 0.7397, 0.7397)
Eu (0.2500, 0.2500, 0.2500)
O (0.2603, 0.2603, 0.7397)
O (0.7397, 0.2603, 0.7397)
O (0.2603, 0.7397, 0.2603)
Eu (0.7500, 0.7500, 0.7500)


Record 3
DFT (PBE) results for an optimized crystal structure of EuIn2Pd.

## Properties
- calculated density (g cm⁻³) = 8.4
- formation enthalpy at 0 K (meV/atom) = -626
- crystal system = orthorhombic

Unit cell a=5.7864 b=5.7864 c=7.9360 alpha=90.00 beta=90.00 gamma=133.40
Fractional positions:
In (0.3535, 0.6465, 0.0531)
Eu (0.9355, 0.0645, 0.7500)
In (0.6465, 0.3535, 0.9469)
In (0.3535, 0.6465, 0.4469)
Eu (0.0645, 0.9355, 0.2500)
Pd (0.7819, 0.2181, 0.2500)
Pd (0.2181, 0.7819, 0.7500)
In (0.6465, 0.3535, 0.5531)


Record 4
DFT (PBE) results for an optimized crystal structure of EuIn4Pd.

## Properties
- calculated density (g cm⁻³) = 8.0
- formation enthalpy at 0 K (meV/atom) = -467
- crystal system = orthorhombic

Unit cell a=8.9336 b=8.9336 c=7.4911 alpha=90.00 beta=90.00 gamma=150.17
Fractional positions:
Eu (0.8771, 0.1229, 0.2500)
In (0.9322, 0.0678, 0.7500)
Pd (0.7757, 0.2243, 0.7500)
Pd (0.2243, 0.7757, 0.2500)
In (0.3160, 0.6840, 0.9520)
In (0.6840, 0.3160, 0.0480)
In (0.3160, 0.6840, 0.5480)
Eu (0.1229, 0.8771, 0.7500)
In (0.5000, 0.5000, 0.5000)
In (0.5000, 0.5000, 0.0000)
In (0.6840, 0.3160, 0.4520)
In (0.0678, 0.9322, 0.2500)


Record 5
DFT (PBE) results for an optimized crystal structure of EuInPt4.

## Properties
- calculated density (g cm⁻³) = 15.3
- formation enthalpy at 0 K (meV/atom) = -699
- crystal system = cubic

Unit cell a=5.4420 b=5.4420 c=5.4420 alpha=60.00 beta=60.00 gamma=60.00
Fractional positions:
Pt (0.6246, 0.1261, 0.6246)
Eu (0.0000, 0.0000, 0.0000)
Pt (0.6246, 0.6246, 0.1261)
Pt (0.1261, 0.6246, 0.6246)
In (0.2500, 0.2500, 0.2500)
Pt (0.6246, 0.6246, 0.6246)


Record 6
DFT (PBE) results for an optimized crystal structure of EuIn2Rh.

## Properties
- calculated density (g cm⁻³) = 8.5
- formation enthalpy at 0 K (meV/atom) = -548
- crystal system = orthorhombic

Unit cell a=5.7142 b=5.7142 c=8.2303 alpha=90.00 beta=90.00 gamma=135.41
Fractional positions:
In (0.6489, 0.3511, 0.9487)
Eu (0.9367, 0.0633, 0.7500)
In (0.6489, 0.3511, 0.5513)
In (0.3511, 0.6489, 0.0513)
Eu (0.0633, 0.9367, 0.2500)
In (0.3511, 0.6489, 0.4487)
Rh (0.2183, 0.7817, 0.7500)
Rh (0.7817, 0.2183, 0.2500)


Record 7
DFT (PBE) results for an optimized crystal structure of EuInRh.

## Properties
- calculated density (g cm⁻³) = 8.7
- formation enthalpy at 0 K (meV/atom) = -574
- crystal system = orthorhombic

Unit cell a=4.4005 b=7.4716 c=8.5472 alpha=90.00 beta=90.00 gamma=90.00
Fractional positions:
Eu (0.7500, 0.4721, 0.8229)
Eu (0.2500, 0.0279, 0.3229)
Eu (0.7500, 0.9721, 0.6771)
Rh (0.7500, 0.7252, 0.3724)
In (0.2500, 0.1469, 0.9359)
Rh (0.7500, 0.2252, 0.1276)
In (0.7500, 0.3531, 0.4359)
In (0.2500, 0.6469, 0.5641)
In (0.7500, 0.8531, 0.0641)
Rh (0.2500, 0.7748, 0.8724)
Eu (0.2500, 0.5279, 0.1771)
Rh (0.2500, 0.2748, 0.6276)


Record 8
DFT (PBE) results for an optimized crystal structure of EuIn2S4.
- - -

## Worked solution
Record 1
DFT (PBE) results for an optimized crystal structure of SrEuInSnO6.

## Properties
- calculated density (g cm⁻³) = 6.6
- formation enthalpy at 0 K (meV/atom) = -2421
- crystal system = cubic

Unit cell a=5.8843 b=5.8843 c=5.8843 alpha=60.00 beta=60.00 gamma=60.00
Fractional positions:
In (0.0000, 0.0000, 0.0000)
O (0.2545, 0.2545, 0.7455)
Sr (0.2500, 0.2500, 0.2500)
O (0.7455, 0.2545, 0.7455)
O (0.2545, 0.7455, 0.2545)
Eu (0.7500, 0.7500, 0.7500)
O (0.7455, 0.7455, 0.2545)
Sn (0.5000, 0.5000, 0.5000)
O (0.2545, 0.7455, 0.7455)
O (0.7455, 0.2545, 0.2545)


Record 2
DFT (PBE) results for an optimized crystal structure of Eu2TiInO6.

## Properties
- calculated density (g cm⁻³) = 7.0
- formation enthalpy at 0 K (meV/atom) = -2970
- crystal system = cubic

Unit cell a=5.7278 b=5.7278 c=5.7278 alpha=60.00 beta=60.00 gamma=60.00
Fractional positions:
In (0.0000, 0.0000, 0.0000)
Ti (0.5000, 0.5000, 0.5000)
O (0.7397, 0.7397, 0.2603)
O (0.7397, 0.2603, 0.2603)
O (0.2603, 0.7397, 0.7397)
Eu (0.2500, 0.2500, 0.2500)
O (0.2603, 0.2603, 0.7397)
O (0.7397, 0.2603, 0.7397)
O (0.2603, 0.7397, 0.2603)
Eu (0.7500, 0.7500, 0.7500)


Record 3
DFT (PBE) results for an optimized crystal structure of EuIn2Pd.

## Properties
- calculated density (g cm⁻³) = 8.4
- formation enthalpy at 0 K (meV/atom) = -626
- crystal system = orthorhombic

Unit cell a=5.7864 b=5.7864 c=7.9360 alpha=90.00 beta=90.00 gamma=133.40
Fractional positions:
In (0.3535, 0.6465, 0.0531)
Eu (0.9355, 0.0645, 0.7500)
In (0.6465, 0.3535, 0.9469)
In (0.3535, 0.6465, 0.4469)
Eu (0.0645, 0.9355, 0.2500)
Pd (0.7819, 0.2181, 0.2500)
Pd (0.2181, 0.7819, 0.7500)
In (0.6465, 0.3535, 0.5531)


Record 4
DFT (PBE) results for an optimized crystal structure of EuIn4Pd.

## Properties
- calculated density (g cm⁻³) = 8.0
- formation enthalpy at 0 K (meV/atom) = -467
- crystal system = orthorhombic

Unit cell a=8.9336 b=8.9336 c=7.4911 alpha=90.00 beta=90.00 gamma=150.17
Fractional positions:
Eu (0.8771, 0.1229, 0.2500)
In (0.9322, 0.0678, 0.7500)
Pd (0.7757, 0.2243, 0.7500)
Pd (0.2243, 0.7757, 0.2500)
In (0.3160, 0.6840, 0.9520)
In (0.6840, 0.3160, 0.0480)
In (0.3160, 0.6840, 0.5480)
Eu (0.1229, 0.8771, 0.7500)
In (0.5000, 0.5000, 0.5000)
In (0.5000, 0.5000, 0.0000)
In (0.6840, 0.3160, 0.4520)
In (0.0678, 0.9322, 0.2500)


Record 5
DFT (PBE) results for an optimized crystal structure of EuInPt4.

## Properties
- calculated density (g cm⁻³) = 15.3
- formation enthalpy at 0 K (meV/atom) = -699
- crystal system = cubic

Unit cell a=5.4420 b=5.4420 c=5.4420 alpha=60.00 beta=60.00 gamma=60.00
Fractional positions:
Pt (0.6246, 0.1261, 0.6246)
Eu (0.0000, 0.0000, 0.0000)
Pt (0.6246, 0.6246, 0.1261)
Pt (0.1261, 0.6246, 0.6246)
In (0.2500, 0.2500, 0.2500)
Pt (0.6246, 0.6246, 0.6246)


Record 6
DFT (PBE) results for an optimized crystal structure of EuIn2Rh.